Discussion of article "Econometric Approach to Analysis of Charts"

### Here the article breaks off for calculated crystals
┌──
Entry P
The following is a DFT calculation (GGA+U) of a relaxed LiFeP2O7 crystal.

Cell lengths 7.182, 8.242, 9.717 Å; angles 90.00, 111.01, 90.00 degrees
Atoms (fractional coordinates):
Li  0.171  0.114  0.250
Li  0.171  0.386  0.750
Li  0.829  0.614  0.250
Li  0.829  0.886  0.750
Fe  0.236  0.001  0.749
Fe  0.236  0.499  0.249
Fe  0.764  0.501  0.751
Fe  0.764  0.999  0.251
P  0.185  0.693  0.944
P  0.185  0.807  0.444
P  0.408  0.231  0.052
P  0.408  0.269  0.552
P  0.592  0.731  0.448
P  0.592  0.769  0.948
P  0.815  0.193  0.556
P  0.815  0.307  0.056
O  0.061  0.560  0.841
O  0.061  0.940  0.341
O  0.123  0.637  0.379
O  0.123  0.863  0.879
O  0.196  0.680  0.102
O  0.196  0.820  0.602
O  0.284  0.166  0.616
O  0.284  0.334  0.116
O  0.290  0.199  0.888
O  0.290  0.301  0.388
O  0.404  0.657  0.939
O  0.404  0.843  0.439
O  0.485  0.077  0.143
O  0.485  0.423  0.643
O  0.515  0.577  0.357
O  0.515  0.923  0.857
O  0.596  0.157  0.561
O  0.596  0.343  0.061
O  0.710  0.699  0.612
O  0.710  0.801  0.112
O  0.716  0.666  0.884
O  0.716  0.834  0.384
O  0.804  0.180  0.398
O  0.804  0.320  0.898
O  0.877  0.137  0.121
O  0.877  0.363  0.621
O  0.939  0.060  0.659
O  0.939  0.440  0.159

SG = P2_1/c (14)
Crystal system = monoclinic

=====

Entry Q
The following is a DFT calculation (GGA+U) of a relaxed LiFeP2O7 crystal.

Cell lengths 9.687, 9.775, 11.209 Å; angles 90.24, 101.28, 90.30 degrees
Atoms (fractional coordinates):
Li  0.000  0.000  0.000
Li  0.006  0.358  0.471
Li  0.287  0.089  0.518
Li  0.481  0.288  0.994
Li  0.518  0.674  0.427
Li  0.569  0.962  0.505
Li  0.753  0.492  0.925
Li  0.811  0.786  0.941
Fe  0.111  0.810  0.642
Fe  0.162  0.590  0.145
Fe  0.167  0.109  0.804
Fe  0.199  0.306  0.299
Fe  0.610  0.464  0.640
Fe  0.652  0.676  0.149
Fe  0.656  0.177  0.800
Fe  0.700  0.972  0.291
P  0.022  0.601  0.856
P  0.025  0.029  0.398
P  0.279  0.533  0.552
P  0.293  0.099  0.092
P  0.337  0.305  0.729
P  0.386  0.836  0.225
P  0.431  0.939  0.733
P  0.475  0.461  0.213
P  0.512  0.670  0.858
P  0.529  0.241  0.402
P  0.784  0.743  0.552
P  0.791  0.181  0.088
P  0.846  0.967  0.736
P  0.885  0.441  0.225
P  0.929  0.333  0.728
P  0.966  0.811  0.207
O  0.007  0.225  0.817
O  0.014  0.473  0.764
O  0.037  0.944  0.277
O  0.039  0.422  0.198
O  0.060  0.689  0.254
O  0.082  0.717  0.790
O  0.085  0.173  0.380
O  0.119  0.557  0.976
O  0.119  0.960  0.506
O  0.191  0.049  0.973
O  0.192  0.445  0.452
O  0.219  0.208  0.156
O  0.221  0.672  0.575
O  0.243  0.194  0.656
O  0.275  0.930  0.752
O  0.284  0.451  0.680
O  0.303  0.974  0.187
O  0.308  0.725  0.140
O  0.317  0.283  0.859
O  0.319  0.465  0.235
O  0.371  0.225  0.407
O  0.371  0.641  0.881
O  0.393  0.819  0.359
O  0.435  0.546  0.539
O  0.436  0.971  0.601
O  0.437  0.135  0.074
O  0.494  0.456  0.084
O  0.496  0.301  0.716
O  0.510  0.797  0.763
O  0.513  0.045  0.823
O  0.538  0.325  0.281
O  0.540  0.850  0.195
O  0.562  0.584  0.276
O  0.588  0.099  0.382
└──
### Here the article continues


New article Econometric Approach to Analysis of Charts is published:

........
40
Lattice="8.517 0.000 0.000 3.970 7.781 0.000 4.006 2.522 7.357" Properties=species:S:1:pos:R:3 comment="Li4TiMn3Cr2P6O24, optimized geometry, DFT PBE with a Hubbard U" energy_ev_per_atom=-7.31 ef_ev_per_atom=-2.6041 pbc="T T T"
Li 0.000 0.000 0.000
Li 6.341 8.032 3.633
Li 5.022 3.945 3.138
Li 10.841 6.468 5.829
Ti 7.928 6.893 7.290
Mn 4.762 4.929 5.880
Mn 8.958 7.523 2.140
Mn 8.254 1.847 3.613
Cr 6.544 5.966 1.042
Cr 10.706 3.371 4.771
P 2.283 1.752 1.435
P 9.023 9.237 5.087
P 7.704 5.119 4.343
P 6.541 2.395 0.642
P 13.377 8.226 6.550
P 12.116 6.228 2.841
O 1.183 1.573 0.387
O 4.159 2.745 5.305
O 4.517 5.551 1.688
O 3.256 2.916 0.944
O 6.901 8.137 1.602
O 8.994 8.540 6.522
O 6.300 4.532 4.536
O 8.334 8.398 4.021
O 8.021 6.047 5.612
O 7.650 5.968 3.063
O 5.885 3.850 0.361
O 6.509 1.756 4.774
O 5.502 1.335 0.927
O 8.791 4.030 4.318
O 8.476 6.266 0.316
O 7.517 2.613 1.786
O 11.183 4.602 6.592
O 10.723 6.494 2.313
O 13.642 9.231 5.413
O 12.716 6.938 6.043
O 12.851 7.507 3.254
O 12.064 5.116 3.941
O 10.336 2.189 2.847
O 14.825 7.838 7.103

---

28
Lattice="5.446 -3.063 0.000 5.446 3.063 0.000 -0.510 0.000 9.731" Properties=species:S:1:pos:R:3 comment="Li4Mn3Cr2Sb3O16, optimized geometry, DFT PBE with a Hubbard U" energy_ev_per_atom=-6.60 ef_ev_per_atom=-2.1044 pbc="T T T"
Li 0.000 0.000 0.000
Li -0.188 0.000 5.063
Li 3.321 0.000 6.044
Li 7.268 0.000 0.981
Mn 1.622 0.000 2.835
Mn 5.879 1.494 7.728
Mn 5.879 -1.494 7.728
Cr 3.456 0.000 0.093
Cr 6.782 0.000 5.145
Sb 4.320 1.514 2.813
Sb 4.320 -1.514 2.813
Sb 8.551 0.000 7.674
O 2.786 1.392 1.566
O 3.888 1.571 8.816
O 1.236 0.000 8.841
O 5.943 1.540 3.963
O 3.498 0.000 3.921
O 5.108 0.000 1.631
O 2.786 -1.392 1.566
O 5.305 0.000 6.418
O 7.730 1.314 6.354
O 3.888 -1.571 8.816
O 6.830 0.000 8.750
O 5.943 -1.540 3.963
O 8.929 0.000 3.871
O 7.730 -1.314 6.354
O 10.626 0.000 1.816
O 10.384 0.000 6.836

---

28
Lattice="5.231 -3.088 0.000 5.231 3.088 0.000 -0.036 0.000 9.653" Properties=species:S:1:pos:R:3 comment="Li4Mn3Cr2Sn3O16, optimized geometry, DFT PBE with a Hubbard U" energy_ev_per_atom=-6.62 ef_ev_per_atom=-2.1320 pbc="T T T"
Li 0.000 0.000 0.000
Li 0.033 0.000 4.903
Li 3.642 0.000 0.992
Li 7.196 0.000 5.928
Mn 4.493 1.502 7.581
Mn 4.493 -1.502 7.581
Mn 8.855 0.000 2.772
Cr 3.735 0.000 5.003
Cr 7.144 0.000 0.097
Sn 1.902 0.000 7.617
Sn 6.283 1.525 2.757
Sn 6.283 -1.525 2.757
O 0.055 0.000 1.805
O 0.052 0.000 6.692
O 2.949 1.361 6.371
O 1.877 0.000 3.904
O 4.560 1.549 3.912
O 6.141 1.579 8.694
O 3.699 0.000 8.644
O 5.219 0.000 6.370
O 2.949 -1.361 6.371
O 5.569 0.000 1.491
O 7.885 1.366 1.442
O 4.560 -1.549 3.912
O 7.250 0.000 3.857
O 8.800 0.000 8.633
O 6.141 -1.579 8.694
O 7.885 -1.366 1.442

---

28
Lattice="5.129 -2.997 0.000 5.129 2.997 0.000 -0.115 0.000 9.712" Properties=species:S:1:pos:R:3 comment="Li4Mn3Cr3Sn2O16, optimized geometry, DFT PBE with a Hubbard U" energy_ev_per_atom=-6.83 ef_ev_per_atom=-2.2086 pbc="T T T"
Li 0.000 0.000 0.000
Li -0.031 0.000 4.860
Li 3.463 0.000 1.016
........

This article describes the econometric methods of analysis, the autocorrelation analysis and the analysis of conditional variance in particular. What is the benefit of the approach described here? Use of the non-linear GARCH models allows representing the analyzed series formally from the mathematical point of view and creating a forecast for a specified number of steps.

Author: Dennis Kirichenko

Isn't the GARCH Model suppose to describe volatility clusters in the time-series?  If so, there's not much of an approach here to model time-series returns in USDJPY but rather volatility.  If best, you can include how to base a strategy off of these econometric modelling.
It was a decent article. I enjoyed it a lot. I want to predict whether a trend is going to start or no on a currency pair in a specific time frame, say H1. For this purpose, I first get the returns within a time frame of length, say, the past N "H1 candles", and then use the Q test. If it passes the Q test, then I fit the parameters of a GARCH(1,1) model on the obtained returns from the chosen time window, and then calculate the expected value of the predicted variance for the next H1 candle. If it is above a specific threshold, then we can expect that a trend is coming.

But based on your experience, do you think such a method has a good accuracy in practice?
Hadi Hadizadeh:
It was a decent article. I enjoyed it a lot. I want to predict whether a trend is going to start or no on a currency pair in a specific time frame, say H1. For this purpose, I first get the returns within a time frame of length, say, the past N "H1 candles", and then use the Q test. If it passes the Q test, then I fit the parameters of a GARCH(1,1) model on the obtained returns from the chosen time window, and then calculate the expected value of the predicted variance for the next H1 candle. If it is above a specific threshold, then we can expect that a trend is coming.

But based on your experience, do you think such a method has a good accuracy in practice?

Thanks for your opinion. The model does not predict the trend or flat inception. It rather allows to define the bounds for future returns. And the 2nd opportunity - to simulate future returns (prices) within the validated bounds.


Thank you Denis for your valuable response. So, the model predicts the "bounds" for the future returns not the "sign" of the future returns. Is it somehow possible to predict the sign of the future returns by means of other complementary statistical models?